The Treasury will study lowering the VAT on feminine hygiene products, when will the diaper?

The Government has just announced that it will study the reduction of feminine hygiene products, which would go from having a reduced to super-reduced VAT (from 10% tax to 4%), in addition to cultural activities.

However, diapers bear a 21% tax, exactly the same as luxury items, and it is a huge expense for families at a stage where, in addition, they often have to bear the cost of childcare. Great to get off VAT on feminine hygiene products, but when does the diaper?

Compresses and tampons

The elimination of the pink fee is a historical claim, since feminine hygiene products are not a luxury item (even if we pay them as such), but one of the first necessity that we use about three decades of our lives.

Avoiding the discrimination that this burden falls exclusively on women is the argument used by the Minister of Finance María Jesús Montero, when including this reduction in her road map:

"It's about encouraging consumption and not taxing women with an added tax for being women."

Why not diapers?

However, diapers have been left out of this plan. Why? From the Ministry of Finance they answer this:

"In her appearance, Minister María Jesús Montero referred exclusively to the reduction of VAT on feminine hygiene products, which does not include diapers. In any case, this is not an obstacle so that this aspect can be addressed or not in a future, but currently it is not part of the elements and products whose VAT reduction will begin to be studied, taking into account the Community guidelines ".

What families still don't understand is why they don't consider themselves diapers as an essential item, Is there anything else necessary in the first years of the baby's life? Is there any other option? It is estimated that we spend a thousand euros a year on diapers, which would mean a reduction of more than 200 in the annual accounts if the diapers had a super-reduced VAT of 4%.


Since the diapers are going to be left out of these first changes, there is no other than to continue asking that the gavamen be reduced to the minimum to this product.

They have already been asking for (years) groups such as the Spanish Federation of Large Families (FEFN), which in 2016 got more than 182,000 signatures in just 15 days through the # rebajaIVApañalesYA campaign.

It must be remembered that, that same year, the Equality Commission of Congress supported two non-law proposals of the PSOE and Esquerra Republicana (ERC) in which the Government was asked to reduce the feminine intimate hygiene products to the super-reduced VAT rate and diapers, in addition to asking for a discount to 5.5% while Europe was pronouncing on the matter.

The drop in VAT on diapers was and remains urgent. When?

_Records of crystals, as found in the file_
/*
Record 1
## LuCo5P3 (PBE)

Data for crystalline LuCo5P3 at its relaxed geometry.

size of the total moment	5.17	Bohr magnetons per cell
calculated density	8.7	Mg/m³
crystal system	orthorhombic

Cell: 11.664 3.612 10.222 Å, 90.00 90.00 90.00°
Element x y z (fractional)
Lu1 0.203 0.250 0.083
Lu2 0.297 0.750 0.583
Lu3 0.703 0.250 0.417
Lu4 0.797 0.750 0.917
Co1 0.010 0.750 0.716
Co2 0.013 0.750 0.093
Co3 0.069 0.750 0.467
Co4 0.176 0.250 0.779
Co5 0.199 0.250 0.383
Co6 0.301 0.750 0.883
Co7 0.324 0.750 0.279
Co8 0.431 0.250 0.967
Co9 0.487 0.250 0.593
Co10 0.490 0.250 0.216
Co11 0.510 0.750 0.784
Co12 0.513 0.750 0.407
Co13 0.569 0.750 0.033
Co14 0.676 0.250 0.721
Co15 0.699 0.250 0.117
Co16 0.801 0.750 0.617
Co17 0.824 0.750 0.221
Co18 0.931 0.250 0.533
Co19 0.987 0.250 0.907
Co20 0.990 0.250 0.284
P1 0.110 0.750 0.900
P2 0.113 0.250 0.582
P3 0.130 0.750 0.269
P4 0.370 0.250 0.769
P5 0.387 0.750 0.082
P6 0.390 0.250 0.400
P7 0.610 0.750 0.600
P8 0.613 0.250 0.918
P9 0.630 0.750 0.231
P10 0.870 0.250 0.731
P11 0.887 0.750 0.418
P12 0.890 0.250 0.100



Record 2
## Lu2CoRh (PBE)

Data for crystalline Lu2CoRh at its relaxed geometry.

calculated density	11.7	Mg/m³
crystal system	cubic

Cell: 4.685 4.685 4.685 Å, 60.00 60.00 60.00°
Element x y z (fractional)
Lu1 0.250 0.250 0.250
Lu2 0.750 0.750 0.750
Co1 0.000 0.000 0.000
Rh1 0.500 0.500 0.500



Record 3
## Lu2CoRu (PBE)

Data for crystalline Lu2CoRu at its relaxed geometry.

calculated density	11.7	Mg/m³
crystal system	cubic

Cell: 4.673 4.673 4.673 Å, 60.00 60.00 60.00°
Element x y z (fractional)
Lu1 0.250 0.250 0.250
Lu2 0.750 0.750 0.750
Co1 0.000 0.000 0.000
Ru1 0.500 0.500 0.500



Record 4
## LuScCo2 (PBE)

Data for crystalline LuScCo2 at its relaxed geometry.

calculated density	8.6	Mg/m³
crystal system	cubic

Cell: 4.513 4.513 4.513 Å, 60.00 60.00 60.00°
Element x y z (fractional)
Lu1 0.000 0.000 0.000
Sc1 0.500 0.500 0.500
Co1 0.250 0.250 0.250
Co2 0.750 0.750 0.750



Number 1: calculated volume 430.6 Å³ per cell, VASP energy -7.11 eV per atom. Number 2: calculated volume 72.7 Å³ per cell, VASP energy -6.51 eV per atom. Number 3: calculated volume 72.1 Å³ per cell, VASP energy -6.75 eV per atom. Number 4: calculated volume 65.0 Å³ per cell, VASP energy -6.57 eV per atom.
*/
_Here the article continues_

In Babies and more Half of the large families in Spain arrive with difficulties at the end of the month, according to the latest study, The diapers will be super-luxury items from September because of VAT